== Brief ==
The reader should echo the whole of the listing further below without altering anything.

== Material ==
-- begin --
No. 1
# NiAsPSe2

A relaxed structure of NiAsPSe2 (GGA-PBE, the Alexandria database).

Cell and atoms, written as extended XYZ:
```
5
Lattice="4.844 0.000 0.000 0.000 4.844 0.000 0.000 0.000 4.614" Properties=species:S:1:pos:R:3 pbc="T T T"
Se 2.422 0.000 0.000
Se 0.000 2.422 0.000
As 0.000 0.000 2.307
Ni 2.422 2.422 2.307
P 0.000 0.000 0.000
```

- N(E_F) (states/eV per cell) = 6.3
- SG = No. 123
- total moment (μB/cell) = 1.1
- formation energy from raw total energies (meV/atom) = 928



No. 2
# Cs2ErSO6

A relaxed structure of Cs2ErSO6 (GGA-PBE, the Alexandria database).

Cell and atoms, written as extended XYZ:
```
10
Lattice="-4.001 2.783 2.608 -3.861 -0.484 -5.408 -0.230 -4.725 4.691" Properties=species:S:1:pos:R:3 pbc="T T T"
Er -2.001 1.392 1.304
O -3.947 -1.935 5.623
O -4.145 -0.491 -3.733
O -4.293 -3.522 -0.724
O -1.669 -0.181 -0.264
O -3.799 1.096 2.614
O -6.423 -2.245 2.154
S 0.000 0.000 0.000
Cs -6.079 0.487 0.193
Cs -2.013 -2.913 1.698
```

- N(E_F) (states/eV per cell) = 1.6
- SG = No. 164
- total moment (μB/cell) = 1.0
- formation energy from raw total energies (meV/atom) = -1631



No. 3
# Ga3FePd12

A relaxed structure of Ga3FePd12 (GGA-PBE, the Alexandria database).

Cell and atoms, written as extended XYZ:
```
16
Lattice="3.929 0.000 0.000 0.000 3.929 0.000 0.000 0.000 15.546" Properties=species:S:1:pos:R:3 pbc="T T T"
Pd 1.964 1.964 3.855
Pd 1.964 1.964 0.000
Pd 1.964 0.000 5.814
Pd 1.964 0.000 9.733
Pd 1.964 0.000 1.903
Pd 1.964 1.964 11.691
Pd 1.964 1.964 7.773
Pd 0.000 1.964 5.814
Pd 0.000 1.964 9.733
Pd 0.000 1.964 1.903
Pd 1.964 0.000 13.643
Pd 0.000 1.964 13.643
Ga 0.000 0.000 11.648
Ga 0.000 0.000 7.773
Ga 0.000 0.000 3.898
Fe 0.000 0.000 0.000
```

- energy of formation (eV/atom) = -0.3617
- N(E_F) (states/eV per cell) = 17.6
- SG = No. 123
- total moment (μB/cell) = 4.3



No. 4
# AcGa2Ir

A relaxed structure of AcGa2Ir (GGA-PBE, the Alexandria database).

Cell and atoms, written as extended XYZ:
```
8
Lattice="-2.264 -1.695 3.769 5.463 -2.236 -0.670 2.507 4.998 3.753" Properties=species:S:1:pos:R:3 pbc="T T T"
Ir 4.458 2.282 3.704
Ir 2.932 -0.762 1.418
Ga 2.031 -3.100 2.771
Ga 5.173 -0.292 2.975
Ga 2.229 3.106 2.736
Ga 1.267 1.188 1.295
Ac 2.369 0.051 4.391
Ac -0.494 -1.302 2.063
```

- energy of formation (eV/atom) = -0.4507
- N(E_F) (states/eV per cell) = 5.5
- SG = No. 38
- total moment (μB/cell) = 0.0



Q: Among the records above, which one has the highest N(E_F)?
A: Ga3FePd12



Q: Which of these has the highest N(E_F)?
A: Ga3FePd12
-- stop --

== Completed ==
No. 1
# NiAsPSe2

A relaxed structure of NiAsPSe2 (GGA-PBE, the Alexandria database).

Cell and atoms, written as extended XYZ:
```
5
Lattice="4.844 0.000 0.000 0.000 4.844 0.000 0.000 0.000 4.614" Properties=species:S:1:pos:R:3 pbc="T T T"
Se 2.422 0.000 0.000
Se 0.000 2.422 0.000
As 0.000 0.000 2.307
Ni 2.422 2.422 2.307
P 0.000 0.000 0.000
```

- N(E_F) (states/eV per cell) = 6.3
- SG = No. 123
- total moment (μB/cell) = 1.1
- formation energy from raw total energies (meV/atom) = 928



No. 2
# Cs2ErSO6

A relaxed structure of Cs2ErSO6 (GGA-PBE, the Alexandria database).

Cell and atoms, written as extended XYZ:
```
10
Lattice="-4.001 2.783 2.608 -3.861 -0.484 -5.408 -0.230 -4.725 4.691" Properties=species:S:1:pos:R:3 pbc="T T T"
Er -2.001 1.392 1.304
O -3.947 -1.935 5.623
O -4.145 -0.491 -3.733
O -4.293 -3.522 -0.724
O -1.669 -0.181 -0.264
O -3.799 1.096 2.614
O -6.423 -2.245 2.154
S 0.000 0.000 0.000
Cs -6.079 0.487 0.193
Cs -2.013 -2.913 1.698
```

- N(E_F) (states/eV per cell) = 1.6
- SG = No. 164
- total moment (μB/cell) = 1.0
- formation energy from raw total energies (meV/atom) = -1631



No. 3
# Ga3FePd12

A relaxed structure of Ga3FePd12 (GGA-PBE, the Alexandria database).

Cell and atoms, written as extended XYZ:
```
16
Lattice="3.929 0.000 0.000 0.000 3.929 0.000 0.000 0.000 15.546" Properties=species:S:1:pos:R:3 pbc="T T T"
Pd 1.964 1.964 3.855
Pd 1.964 1.964 0.000
Pd 1.964 0.000 5.814
Pd 1.964 0.000 9.733
Pd 1.964 0.000 1.903
Pd 1.964 1.964 11.691
Pd 1.964 1.964 7.773
Pd 0.000 1.964 5.814
Pd 0.000 1.964 9.733
Pd 0.000 1.964 1.903
Pd 1.964 0.000 13.643
Pd 0.000 1.964 13.643
Ga 0.000 0.000 11.648
Ga 0.000 0.000 7.773
Ga 0.000 0.000 3.898
Fe 0.000 0.000 0.000
```

- energy of formation (eV/atom) = -0.3617
- N(E_F) (states/eV per cell) = 17.6
- SG = No. 123
- total moment (μB/cell) = 4.3



No. 4
# AcGa2Ir

A relaxed structure of AcGa2Ir (GGA-PBE, the Alexandria database).

Cell and atoms, written as extended XYZ:
```
8
Lattice="-2.264 -1.695 3.769 5.463 -2.236 -0.670 2.507 4.998 3.753" Properties=species:S:1:pos:R:3 pbc="T T T"
Ir 4.458 2.282 3.704
Ir 2.932 -0.762 1.418
Ga 2.031 -3.100 2.771
Ga 5.173 -0.292 2.975
Ga 2.229 3.106 2.736
Ga 1.267 1.188 1.295
Ac 2.369 0.051 4.391
Ac -0.494 -1.302 2.063
```

- energy of formation (eV/atom) = -0.4507
- N(E_F) (states/eV per cell) = 5.5
- SG = No. 38
- total moment (μB/cell) = 0.0



Q: Among the records above, which one has the highest N(E_F)?
A: Ga3FePd12



Q: Which of these has the highest N(E_F)?
A: Ga3FePd12